Activity:
The reader should set down the notes underneath character by character.

File:
(1)
VASP calculation (GGA-PBE) on an optimized crystal structure of HfTlCoPd.

Properties
Total magnetic moment   1.28 μB/f.u.
Calculated total energy   -24.3 eV per cell

```
data_HfTlCoPd
_chemical_formula_sum 'Hf1 Tl1 Co1 Pd1'
_cell_length_a 4.616
_cell_length_b 4.616
_cell_length_c 4.616
_cell_angle_alpha 60.00
_cell_angle_beta 60.00
_cell_angle_gamma 60.00
_symmetry_space_group_name_H-M 'P 1'
_symmetry_Int_Tables_number 1
_symmetry_space_group_name_Hall 'P 1'
loop_
_atom_site_label
_atom_site_fract_x
_atom_site_fract_y
_atom_site_fract_z
Hf1 0.000 0.000 0.000
Tl1 0.250 0.250 0.250
Co1 0.500 0.500 0.500
Pd1 0.750 0.750 0.750
```

(2)
VASP calculation (GGA-PBE) on an optimized crystal structure of LaPrNi2As2.

Properties
Total magnetic moment   0.00 μB/f.u.
Calculated total energy   -36.5 eV per cell

```
data_LaPrNi2As2
_chemical_formula_sum 'La1 Pr1 Ni2 As2'
_cell_length_a 4.158
_cell_length_b 4.158
_cell_length_c 8.149
_cell_angle_alpha 90.00
_cell_angle_beta 90.00
_cell_angle_gamma 120.00
_symmetry_space_group_name_H-M 'P 1'
_symmetry_Int_Tables_number 1
_symmetry_space_group_name_Hall 'P 1'
loop_
_atom_site_label
_atom_site_fract_x
_atom_site_fract_y
_atom_site_fract_z
La1 0.000 0.000 0.000
Pr1 0.000 0.000 0.500
Ni1 0.333 0.667 0.251
Ni2 0.667 0.333 0.749
As1 0.333 0.667 0.747
As2 0.667 0.333 0.253
```

Calculated values (Å³ per atom) of V for the records, taken in order: 17.39 20.34.

=====

# 1
DFT (PBE) results for ZnPb after structural relaxation.

The structure in POSCAR format:
```
ZnPb
1.0
-2.185 1.638 -4.558
1.969 -2.328 -1.780
-3.831 -3.642 0.527
Zn Pb
2 2
direct
0.836 0.500 0.500
0.997 0.000 0.000
0.303 0.000 0.500
0.531 0.500 0.000
```

Properties
Energy   -4.576 eV per formula unit
SG   Pmmn

---

# 2
DFT (PBE) results for ZnPb after structural relaxation.

The structure in POSCAR format:
```
ZnPb
1.0
-0.770 -5.499 -4.494
-0.858 -0.980 7.024
-4.379 0.943 -0.403
Zn Pb
4 4
direct
0.461 0.539 0.000
0.461 0.923 0.000
0.077 0.539 0.000
0.333 0.667 0.500
0.816 0.184 0.500
0.816 0.632 0.500
0.000 0.000 0.000
0.368 0.184 0.500
```

Properties
Energy   -4.611 eV per formula unit
SG   P-6m2

---

# 3
DFT (PBE) results for Zn3Pb after structural relaxation.

The structure in POSCAR format:
```
Zn3Pb
1.0
-5.019 3.121 -0.029
-1.688 -2.761 -4.965
-1.955 -3.122 2.401
Zn Pb
6 2
direct
0.440 0.000 0.500
0.798 0.740 0.500
0.894 0.500 0.000
0.535 0.240 0.000
0.798 0.260 0.500
0.535 0.760 0.000
0.266 0.500 0.500
0.068 0.000 0.000
```

Properties
Energy   -7.059 eV per formula unit
SG   Pmmn

---

# 4
DFT (PBE) results for Zn4Pb3 after structural relaxation.

The structure in POSCAR format:
```
Zn4Pb3
1.0
5.621 6.492 0.000
-2.805 8.110 0.000
0.000 0.000 5.092
Zn Pb
8 6
direct
0.963 0.004 0.000
0.990 0.234 0.500
0.605 0.105 0.000
0.091 0.491 0.500
0.347 0.133 0.500
0.810 0.952 0.500
0.861 0.747 0.000
0.143 0.286 0.000
0.754 0.410 0.000
0.198 0.828 0.500
0.685 0.689 0.500
0.407 0.897 0.000
0.546 0.341 0.500
0.268 0.550 0.000
```

Properties
Energy   -14.917 eV per formula unit
SG   P2_1/m

---

# 5
DFT (PBE) results for ZnPb after structural relaxation.

The structure in POSCAR format:
```
ZnPb
1.0
-0.670 5.535 -0.678
-3.592 -1.233 -6.519
-4.016 -0.210 2.253
Zn Pb
4 4
direct
0.355 0.500 0.500
0.448 0.702 0.000
0.063 0.500 0.000
0.448 0.298 0.000
0.834 0.289 0.500

Done:
(1)
VASP calculation (GGA-PBE) on an optimized crystal structure of HfTlCoPd.

Properties
Total magnetic moment   1.28 μB/f.u.
Calculated total energy   -24.3 eV per cell

```
data_HfTlCoPd
_chemical_formula_sum 'Hf1 Tl1 Co1 Pd1'
_cell_length_a 4.616
_cell_length_b 4.616
_cell_length_c 4.616
_cell_angle_alpha 60.00
_cell_angle_beta 60.00
_cell_angle_gamma 60.00
_symmetry_space_group_name_H-M 'P 1'
_symmetry_Int_Tables_number 1
_symmetry_space_group_name_Hall 'P 1'
loop_
_atom_site_label
_atom_site_fract_x
_atom_site_fract_y
_atom_site_fract_z
Hf1 0.000 0.000 0.000
Tl1 0.250 0.250 0.250
Co1 0.500 0.500 0.500
Pd1 0.750 0.750 0.750
```

(2)
VASP calculation (GGA-PBE) on an optimized crystal structure of LaPrNi2As2.

Properties
Total magnetic moment   0.00 μB/f.u.
Calculated total energy   -36.5 eV per cell

```
data_LaPrNi2As2
_chemical_formula_sum 'La1 Pr1 Ni2 As2'
_cell_length_a 4.158
_cell_length_b 4.158
_cell_length_c 8.149
_cell_angle_alpha 90.00
_cell_angle_beta 90.00
_cell_angle_gamma 120.00
_symmetry_space_group_name_H-M 'P 1'
_symmetry_Int_Tables_number 1
_symmetry_space_group_name_Hall 'P 1'
loop_
_atom_site_label
_atom_site_fract_x
_atom_site_fract_y
_atom_site_fract_z
La1 0.000 0.000 0.000
Pr1 0.000 0.000 0.500
Ni1 0.333 0.667 0.251
Ni2 0.667 0.333 0.749
As1 0.333 0.667 0.747
As2 0.667 0.333 0.253
```

Calculated values (Å³ per atom) of V for the records, taken in order: 17.39 20.34.

=====

# 1
DFT (PBE) results for ZnPb after structural relaxation.

The structure in POSCAR format:
```
ZnPb
1.0
-2.185 1.638 -4.558
1.969 -2.328 -1.780
-3.831 -3.642 0.527
Zn Pb
2 2
direct
0.836 0.500 0.500
0.997 0.000 0.000
0.303 0.000 0.500
0.531 0.500 0.000
```

Properties
Energy   -4.576 eV per formula unit
SG   Pmmn

---

# 2
DFT (PBE) results for ZnPb after structural relaxation.

The structure in POSCAR format:
```
ZnPb
1.0
-0.770 -5.499 -4.494
-0.858 -0.980 7.024
-4.379 0.943 -0.403
Zn Pb
4 4
direct
0.461 0.539 0.000
0.461 0.923 0.000
0.077 0.539 0.000
0.333 0.667 0.500
0.816 0.184 0.500
0.816 0.632 0.500
0.000 0.000 0.000
0.368 0.184 0.500
```

Properties
Energy   -4.611 eV per formula unit
SG   P-6m2

---

# 3
DFT (PBE) results for Zn3Pb after structural relaxation.

The structure in POSCAR format:
```
Zn3Pb
1.0
-5.019 3.121 -0.029
-1.688 -2.761 -4.965
-1.955 -3.122 2.401
Zn Pb
6 2
direct
0.440 0.000 0.500
0.798 0.740 0.500
0.894 0.500 0.000
0.535 0.240 0.000
0.798 0.260 0.500
0.535 0.760 0.000
0.266 0.500 0.500
0.068 0.000 0.000
```

Properties
Energy   -7.059 eV per formula unit
SG   Pmmn

---

# 4
DFT (PBE) results for Zn4Pb3 after structural relaxation.

The structure in POSCAR format:
```
Zn4Pb3
1.0
5.621 6.492 0.000
-2.805 8.110 0.000
0.000 0.000 5.092
Zn Pb
8 6
direct
0.963 0.004 0.000
0.990 0.234 0.500
0.605 0.105 0.000
0.091 0.491 0.500
0.347 0.133 0.500
0.810 0.952 0.500
0.861 0.747 0.000
0.143 0.286 0.000
0.754 0.410 0.000
0.198 0.828 0.500
0.685 0.689 0.500
0.407 0.897 0.000
0.546 0.341 0.500
0.268 0.550 0.000
```

Properties
Energy   -14.917 eV per formula unit
SG   P2_1/m

---

# 5
DFT (PBE) results for ZnPb after structural relaxation.

The structure in POSCAR format:
```
ZnPb
1.0
-0.670 5.535 -0.678
-3.592 -1.233 -6.519
-4.016 -0.210 2.253
Zn Pb
4 4
direct
0.355 0.500 0.500
0.448 0.702 0.000
0.063 0.500 0.000
0.448 0.298 0.000
0.834 0.289 0.500